A lottery is a contest in which tokens are distributed or sold and the winner is chosen by lot. The winners may be awarded prizes such as money, goods or services. In the context of government, a lottery is a way to raise funds for a specific purpose such as public works, education, etc. In the United States, there are several state-run lotteries. The state’s legislative and executive branches regulate the operation of a lottery. In addition, many private companies offer lottery services. In general, the odds of winning are low. People play the lottery for a variety of reasons, such as the desire to become rich, the belief that they are helping to improve society or simply because they enjoy gambling. However, there are some significant issues surrounding the lottery that should be taken into account.
Lotteries are a classic example of public policy made piecemeal and incrementally, with no overall vision or direction. Each new lottery begins with a modest number of relatively simple games and then, as pressure for additional revenues builds, progressively expands its offerings. In the process, it often creates significant specific constituencies such as convenience store operators (whose advertising is heavily promoted); suppliers of the goods and services offered by the lottery (heavy contributions to state political campaigns are frequently reported); teachers (in those states in which the proceeds are earmarked for education); and state legislators (who quickly grow accustomed to the steady stream of cash).
[Inserted here: data records]
-- begin --
Entry from the OMol25 dataset: a structure of composition C6H16Cl2N3OP (wB97M-V/def2-TZVPD).

frontier orbital gap: 5.3 eV
HOMO level: -7.87 eV
energy above the lowest of the compared OMol25 structures with the same formula, charge and spin: 13.9 kcal/mol

```
29
C6H16Cl2N3OP, DFT wB97M-V/def2-TZVPD
C -0.39966 2.67045 0.67502
C -2.50111 1.62252 -0.24065
C -0.63590 -2.26435 0.32184
C -1.05819 -0.85019 -1.85033
C -0.96163 1.59439 -0.24780
C -1.24974 -0.95928 -0.30244
N 2.38244 -1.04956 1.91198
N -0.77108 0.23990 0.33737
N 3.50771 0.34593 -0.03784
O 2.86280 -2.15231 -0.44715
P 2.28462 -0.97503 0.24471
Cl 3.49777 0.40407 -1.73994
Cl 5.01385 -0.03617 0.50918
H -0.78258 2.50445 1.65273
H 0.59986 2.29015 0.82921
H -0.32775 3.75536 0.52674
H -2.85569 1.42926 -1.22574
H -2.80540 2.57985 0.14494
H -2.83668 0.79214 0.39792
H 0.38876 -2.27957 0.09718
H -0.64522 -2.23590 1.43256
H -1.15262 -3.16787 -0.07009
H -1.76161 -0.39431 -2.45506
H -1.06125 -1.85300 -2.08664
H -0.07617 -0.38398 -2.00926
H -0.57960 1.74041 -1.23608
H -2.35288 -1.09703 -0.01487
H 1.97578 -0.28497 2.60995
H 2.30117 -1.98538 2.27256
```

***

Entry from the OMol25 dataset: a structure of composition C6H16F6FeN8O10S2 (wB97M-V/def2-TZVPD).

expectation value of S²: 20.01
frontier orbital gap (alpha / beta): 3.0 / 6.6 eV
HOMO level (alpha / beta): -3.07 / -9.44 eV
energy above the lowest of the compared OMol25 structures with the same formula, charge and spin: 5.1 kcal/mol
2S+1: 9

```
49
C6H16F6FeN8O10S2, DFT wB97M-V/def2-TZVPD
Fe -0.22781 0.33366 -0.26007
C 4.12913 0.25653 0.16365
F 4.00320 -1.06282 0.16921
F 3.86071 0.71664 1.38986
F 5.38005 0.59806 -0.13812
S 2.98923 0.99243 -1.09333
O 3.03731 0.07623 -2.21781
O 1.70532 0.90841 -0.37789
O 3.47290 2.31190 -1.33459
C -4.47256 -0.62444 0.37073
F -5.44493 0.26120 0.14670
F -3.84351 -0.26296 1.49579
F -5.02566 -1.81441 0.56137
S -3.30844 -0.64659 -1.09107
O -2.05523 -0.27298 -0.39220
O -3.30065 -1.98084 -1.60045
O -3.79315 0.38074 -1.96825
C -1.34020 2.37165 1.86726
O -1.04555 1.77737 0.81282
N -1.52785 3.72159 1.82356
N -1.56329 1.73277 3.03219
H -1.93101 4.18670 2.61377
H -1.37425 4.10402 0.90904
H -2.09325 2.19046 3.75166
H -1.40139 0.74220 3.09114
C 1.11980 -2.54036 -0.94712
O 0.41213 -1.44360 -0.91760
N 0.71271 -3.72996 -0.29152
N 2.30154 -2.69056 -1.67884
H 0.03630 -3.57195 0.51777
H 0.81688 -4.67782 -0.76461
H 2.73845 -1.86241 -2.05590
H 2.69944 -3.60986 -1.72420
C -0.15236 1.30897 -3.24828
O -0.42518 0.98090 -2.08086
N -0.80154 2.38147 -3.80515
N 0.80800 0.72310 -3.97836
H -1.62509 2.63899 -3.28520
H -0.83583 2.45720 -4.80688
H 1.39833 0.00572 -3.58877
H 0.81043 0.87819 -4.97015
C 0.50612 -0.82268 2.81770
O 0.38928 -0.41280 1.64298
N 1.38189 -0.19071 3.66908
N -0.01780 -2.00791 3.21309
H 1.87122 0.61555 3.32478
H 1.36659 -0.46129 4.63328
H -0.40714 -2.59633 2.45238
H 0.06671 -2.36936 4.14742
```

***

Entry from the OMol25 dataset: a structure of composition C6H16HgN3 (wB97M-V/def2-TZVPD).
-- stop --
While the lure of a big prize is always appealing, the fact is that purchasing a ticket requires an investment of a very small amount of money for the chance of a large return. Lotteries therefore represent a substantial loss to the economy as a whole, especially given that those who purchase tickets could be better used for other purposes such as investing in education or retirement. As a form of gambling, the lottery can lead to addiction, and some argue that governments should not be in the business of promoting vices, even if they do generate significant revenue.
Governments have long imposed sin taxes on vices such as alcohol and tobacco, with the justification that the increased cost will discourage people from engaging in them. While lottery participants can become addicted to gambling, the ill effects are generally less costly in the aggregate than those of alcohol and tobacco.
┌──
# C5H6O

An isolated molecule of C5H6O (the ωB97M-V functional and the def2-TZVPD basis, OMol25).

Summary:
gap between HOMO and LUMO = 10.93 eV
E = -269.2779 Ha
structure (SMILES) = C#CCCC=O
highest occupied orbital energy = -10.0 eV

Structure (XYZ):
```
12
Properties=species:S:1:pos:R:3:forces:R:3:nbo_charge:R:1
O -1.6099 -1.5232 -0.3521 0.08 0.33 0.44 -0.518
C -1.4402 -0.7281 0.5406 -0.08 -0.20 -0.25 0.447
C -0.7506 0.6074 0.3562 -0.01 0.02 0.00 -0.499
C 0.1969 0.5887 -0.8495 0.02 0.02 -0.04 -0.490
C 1.4355 -0.0832 -0.4428 0.39 -0.25 0.24 0.011
C 2.3806 -0.6434 0.0502 -0.34 0.20 -0.22 -0.263
H -1.8107 -0.9427 1.5643 -0.02 0.02 -0.11 0.111
H -0.2004 0.8579 1.2700 -0.14 -0.02 -0.10 0.230
H -1.5366 1.3672 0.2421 0.05 -0.13 -0.02 0.238
H -0.2810 0.0428 -1.6702 0.12 0.08 0.11 0.257
H 0.4059 1.6046 -1.2014 0.02 -0.16 0.10 0.237
H 3.2106 -1.1480 0.4925 -0.09 0.09 -0.15 0.240
```
Positions in Å, forces in eV/Å.

---

# C4H7NO

An isolated molecule of C4H7NO (the ωB97M-V functional and the def2-TZVPD basis, OMol25).

Summary:
gap between HOMO and LUMO = 8.46 eV
E = -286.3886 Ha
highest occupied orbital energy = -7.6 eV

Structure (XYZ):
```
13
Properties=species:S:1:pos:R:3:forces:R:3:nbo_charge:R:1
O -1.5086 -1.0892 0.8998 0.20 -0.01 0.21 -0.706
C -1.1556 -0.1042 -0.0466 -0.04 0.11 -0.35 0.041
C -0.4836 1.2058 0.3814 -0.19 -0.16 0.44 -0.460
N 0.7891 0.8286 -0.4584 0.03 0.29 -0.08 -0.529
C 1.3775 -0.4617 -0.1351 0.14 -0.09 0.17 -0.221
C 0.0921 -0.3764 -0.9037 -0.13 -0.18 -0.23 -0.074
H -0.8297 -1.0900 1.5863 -0.13 -0.02 -0.03 0.458
H -2.0572 0.0220 -0.6539 0.14 0.01 0.07 0.185
H -0.2296 1.3413 1.4394 -0.03 -0.04 -0.13 0.167
H 0.4373 1.8561 -0.6531 0.22 -0.05 -0.14 0.499
H 1.3882 -0.7177 0.9229 -0.04 0.05 -0.16 0.205
H 2.2647 -0.7332 -0.7021 -0.16 0.05 0.07 0.223
H 0.0990 -0.6671 -1.9525 -0.01 0.04 0.16 0.212
```
Positions in Å, forces in eV/Å.

---

# C28H41N4O2P2PbS

A structure of composition C28H41N4O2P2PbS (the ωB97M-V functional and the def2-TZVPD basis, OMol25).

Summary:
gap between HOMO and LUMO (alpha / beta) = 7.77 / 5.81 eV
E = -2733.9511 Ha
net charge = +3
highest occupied orbital energy (alpha / beta) = -15.6 / -16.1 eV

Structure (XYZ):
```
79
Properties=species:S:1:pos:R:3:forces:R:3:lowdin_charge:R:1
Pb 0.2546 -1.7720 -1.7146 -0.03 0.00 0.03 0.978
O 0.4373 2.1116 0.3330 0.06 -0.04 0.04 0.032
C -0.1463 1.1013 -0.0334 -0.14 0.25 -0.06 -0.675
O 0.3805 -0.0593 -0.1653 0.04 -0.15 0.08 -0.316
C -1.6624 1.2184 -0.2881 -0.03 0.03 0.03 -0.194
P -2.2599 0.4164 -1.7958 0.10 -0.09 0.04 1.112
C -2.2305 1.4646 -3.1945 -0.07 0.06 -0.08 -0.355
C -1.1369 2.3385 -3.3496 -0.02 -0.03 0.01 -0.068
C -1.0761 3.1571 -4.4565 0.00 0.01 -0.02 -0.037
C -2.0854 3.1050 -5.4171 -0.01 -0.01 0.00 -0.007
C -3.1644 2.2374 -5.2715 0.02 0.03 -0.02 -0.028
C -3.2417 1.4095 -4.1703 0.02 -0.01 0.04 -0.051
C -3.6915 -0.5931 -1.5743 -0.03 -0.02 -0.04 -0.382
C -4.4887 -0.5098 -0.4252 0.01 -0.01 -0.01 -0.070
C -5.5943 -1.3336 -0.3043 0.00 0.00 0.01 -0.039
└──
In addition, critics charge that much of the advertising for the lottery is deceptive. It commonly presents misleading odds of winning; inflates the value of money won (lotto jackpots are usually paid in equal annual installments over 20 years, with inflation and taxes dramatically eroding the current value); and so on.
In the immediate post-World War II period, many states used lotteries as a means of expanding the range of their services without raising onerous taxes on middle and working class citizens. But as the costs of social welfare rose, that arrangement began to break down. Now, with states facing declining revenues and a growing inequality gap, they look to the lottery to fill the void.